**Given**
/*
No. 1
Computed, not measured: C37H39AsBClF4I2N2O6Sc as an isolated structure, with ωB97M-V with the def2-TZVPD basis set.

Values from the calculation:
**HOMO-LUMO gap**: 6.28 eV
**HOMO**: -5.483 eV
**Calculated total energy**: -176086.3070 eV
**Total charge**: -1

Geometry as XYZ:
```
94
C37H39AsBClF4I2N2O6Sc ωB97M-V with the def2-TZVPD basis set
F 3.75 3.02 2.08
H 3.25 -5.26 1.92
C 1.74 4.93 -3.44
H -4.53 -3.46 -0.76
H -3.36 -2.30 -2.23
N -0.40 1.06 -2.77
C -2.13 0.73 -4.91
C -2.34 1.11 0.14
O 1.63 2.92 -2.27
H 2.90 0.52 2.12
C 0.56 6.89 -2.65
H 2.39 4.44 -4.15
H -0.01 -2.51 2.97
F 2.05 4.34 1.28
H 1.38 -4.45 -0.74
H -1.42 -2.76 3.99
C -5.29 -4.71 1.53
C -0.11 4.09 -0.26
H 1.78 6.81 -4.43
H 1.63 -5.73 0.48
O 3.71 -1.74 -2.08
H -4.41 1.63 2.78
O 2.19 0.08 -2.62
C -3.76 -3.41 0.00
H 0.30 7.93 -2.76
H -2.27 1.34 -0.92
C -2.57 0.52 2.83
H -5.81 -4.23 2.36
H 0.06 -0.94 -2.95
C -0.52 -0.12 -3.37
C -3.56 1.28 2.22
O -0.04 2.85 -0.14
As 0.14 -1.86 0.08
C 3.69 -3.38 2.86
C -3.99 -4.00 1.23
C 0.42 4.80 -1.40
C -2.57 -2.76 -0.30
C -1.47 0.08 2.10
C -2.03 1.96 -4.27
C -0.86 -3.15 3.13
B 3.13 3.52 0.95
H 3.86 -1.38 3.58
O 0.53 -2.41 -1.42
C 1.58 -2.38 1.29
O 2.86 -0.17 -0.44
H -0.54 6.65 -0.85
C -2.44 -2.15 -1.67
H -1.85 5.04 0.50
C 1.24 -4.72 0.30
H -5.95 -4.70 0.67
H -2.64 0.28 3.88
H 4.46 -4.66 4.41
C -3.43 1.57 0.86
F 4.00 4.14 0.08
H 5.32 -3.13 4.24
H -0.34 5.72 1.12
H -0.90 4.13 1.69
H -1.60 -2.58 -2.20
C -1.15 2.07 -3.21
H 0.17 -4.74 0.48
H -0.71 -0.50 2.61
I 6.37 4.36 -4.12
C 1.27 4.16 -2.35
H -2.61 2.81 -4.58
H -1.42 -1.30 -4.91
Cl 3.40 -0.37 -1.83
H -1.04 3.02 -2.69
H -0.49 -4.14 3.40
F 2.57 2.33 0.23
C -3.00 -3.90 2.19
H 5.56 -4.42 3.06
H -2.80 0.61 -5.75
C -1.55 -2.69 0.67
C 2.01 -0.06 2.36
H -4.20 2.15 0.36
N -0.24 -0.09 -0.03
C 0.10 6.17 -1.58
C -1.36 -0.32 -4.46
Sc 1.18 1.32 -1.03
C -1.79 -3.25 1.94
I 5.30 2.19 -3.00
H 1.19 0.33 1.77
H 1.78 0.13 3.42
H -2.26 -1.08 -1.59
C -1.33 0.36 0.74
H -5.11 -5.75 1.82
C 2.98 -4.21 1.99
C 1.40 6.25 -3.58
C 2.28 -1.53 2.15
H -3.16 -4.32 3.17
C 1.94 -3.74 1.21
C 3.32 -2.05 2.92
C -0.84 4.81 0.84
C 4.82 -3.92 3.69
```


No. 2
Computed, not measured: C10H19CrF6N2O8S2 as an isolated structure, with ωB97M-V with the def2-TZVPD basis set.

Values from the calculation:
**Multiplicity**: 5
**Expectation value of S²**: 6.025
**HOMO-LUMO gap (spin up / spin down)**: 3.73 / 3.72 eV
**HOMO (spin up / spin down)**: -1.912 / -1.915 eV
**Calculated total energy**: -96432.3701 eV
**Total charge**: -1

Geometry as XYZ:
```
48
C10H19CrF6N2O8S2 ωB97M-V with the def2-TZVPD basis set
O -5.53 18.82 15.60
C -9.89 19.28 10.79
C -9.74 17.82 11.26
C -10.47 16.32 13.11
H -10.99 15.53 12.54
H -10.68 21.80 10.68
C -9.40 23.17 14.84
N -10.53 17.62 12.47
H -11.47 17.79 12.10
F -5.48 21.28 14.23
H -9.14 19.51 10.04
H -12.02 16.40 14.55
O -7.06 19.26 11.48
H -10.14 17.24 10.41
O -5.18 18.52 12.82
H -11.75 17.31 16.68
H -9.13 23.20 13.74
Cr -9.61 19.17 13.78
H -10.99 18.83 16.64
H -8.11 21.39 14.76
H -10.21 22.15 12.26
O -9.89 20.20 11.87
C -5.86 21.06 12.99
N -7.54 18.87 13.93
H -10.82 19.37 10.20
O -10.68 23.55 14.97
O -10.45 17.60 15.07
C -10.92 16.36 14.58
F -6.86 21.85 12.63
F -7.95 15.94 15.03
O -7.83 18.52 16.34
H -8.91 21.85 11.08
H -9.48 15.87 13.03
S -6.86 18.39 15.30
C -6.74 16.51 15.14
F -4.81 21.25 12.20
F -6.05 16.18 14.03
H -8.89 21.68 16.33
S -6.40 19.26 12.75
H -10.04 17.44 17.15
C -9.05 21.71 15.24
H -8.63 23.80 15.36
H -8.69 17.56 11.34
C -10.79 17.78 16.44
F -6.10 15.98 16.18
O -10.00 20.74 14.86
C -9.90 21.54 11.41
H -10.64 15.43 15.06
```


No. 3
Computed, not measured: C4H4BiCl2LaN2O4 as an isolated structure, with ωB97M-V with the def2-TZVPD basis set.

Values from the calculation:
**HOMO-LUMO gap**: 4.08 eV
**HOMO**: -21.438 eV
**Calculated total energy**: -47083.4535 eV
**Total charge**: +4

Geometry as XYZ:
```
18
C4H4BiCl2LaN2O4 ωB97M-V with the def2-TZVPD basis set
O -6.63 5.56 -3.84
H 2.43 -3.76 1.56
O 1.59 -0.44 3.46
C 3.62 -2.29 0.85
Cl -0.75 -2.10 0.92
N 3.38 -3.41 1.53
*/

**Work order**
Now find "-1.58" and "-5.48 21.28" in the rows earlier on, and restate these two lines and those between.

**Solution**
C 0.10 6.17 -1.58
C -1.36 -0.32 -4.46
Sc 1.18 1.32 -1.03
C -1.79 -3.25 1.94
I 5.30 2.19 -3.00
H 1.19 0.33 1.77
H 1.78 0.13 3.42
H -2.26 -1.08 -1.59
C -1.33 0.36 0.74
H -5.11 -5.75 1.82
C 2.98 -4.21 1.99
C 1.40 6.25 -3.58
C 2.28 -1.53 2.15
H -3.16 -4.32 3.17
C 1.94 -3.74 1.21
C 3.32 -2.05 2.92
C -0.84 4.81 0.84
C 4.82 -3.92 3.69
```


No. 2
Computed, not measured: C10H19CrF6N2O8S2 as an isolated structure, with ωB97M-V with the def2-TZVPD basis set.

Values from the calculation:
**Multiplicity**: 5
**Expectation value of S²**: 6.025
**HOMO-LUMO gap (spin up / spin down)**: 3.73 / 3.72 eV
**HOMO (spin up / spin down)**: -1.912 / -1.915 eV
**Calculated total energy**: -96432.3701 eV
**Total charge**: -1

Geometry as XYZ:
```
48
C10H19CrF6N2O8S2 ωB97M-V with the def2-TZVPD basis set
O -5.53 18.82 15.60
C -9.89 19.28 10.79
C -9.74 17.82 11.26
C -10.47 16.32 13.11
H -10.99 15.53 12.54
H -10.68 21.80 10.68
C -9.40 23.17 14.84
N -10.53 17.62 12.47
H -11.47 17.79 12.10
F -5.48 21.28 14.23